• Assignment:
Next, copy everything below with every line break kept.
• Entries:
~~~
# SrPr4Hg4
Theoretical powder diffractogram, a wavelength of 1.5418 Å. Input: a structure optimized by DFT (GGA-PBE).
Neutral-atom scattering factors, no anomalous dispersion.

Structural model:
```
data_SrPr4Hg4
_cell_length_a 10.297
_cell_length_b 10.297
_cell_length_c 6.125
_cell_angle_alpha 90.00
_cell_angle_beta 90.00
_cell_angle_gamma 90.00
_space_group_name_H-M_alt 'P 1'
_space_group_IT_number 1
_space_group_name_Hall 'P 1'
loop_
_atom_site_label
_atom_site_type_symbol
_atom_site_fract_x
_atom_site_fract_y
_atom_site_fract_z
_atom_site_occupancy
Sr1 Sr 0.250 0.250 0.250 1
Sr2 Sr 0.750 0.750 0.750 1
Pr1 Pr 0.097 0.656 0.158 1
Pr2 Pr 0.156 0.903 0.658 1
Pr3 Pr 0.344 0.597 0.658 1
Pr4 Pr 0.403 0.844 0.158 1
Pr5 Pr 0.597 0.156 0.842 1
Pr6 Pr 0.656 0.403 0.342 1
Pr7 Pr 0.844 0.097 0.342 1
Pr8 Pr 0.903 0.344 0.842 1
Hg1 Hg 0.030 0.605 0.659 1
Hg2 Hg 0.105 0.970 0.159 1
Hg3 Hg 0.395 0.530 0.159 1
Hg4 Hg 0.470 0.895 0.659 1
Hg5 Hg 0.530 0.105 0.341 1
Hg6 Hg 0.605 0.470 0.841 1
Hg7 Hg 0.895 0.030 0.841 1
Hg8 Hg 0.970 0.395 0.341 1
```

Peak list (10 most intense, 2θ = 15–90°, by angle)
d/Å  intensity
5.149  30
3.256  100
2.936  49
2.588  49
2.550  23
2.313  33
2.303  24
2.285  39
2.089  31
1.489  17


# Li2CaZn6
Theoretical powder diffractogram, a wavelength of 1.5418 Å. Input: a structure optimized by DFT (GGA-PBE).
Neutral-atom scattering factors, no anomalous dispersion.

Structural model:
```
data_Li2CaZn6
_cell_length_a 7.781
_cell_length_b 7.781
_cell_length_c 7.781
_cell_angle_alpha 156.38
_cell_angle_beta 120.71
_cell_angle_gamma 64.73
_space_group_name_H-M_alt 'P 1'
_space_group_IT_number 1
_space_group_name_Hall 'P 1'
loop_
_atom_site_label
_atom_site_type_symbol
_atom_site_fract_x
_atom_site_fract_y
_atom_site_fract_z
_atom_site_occupancy
Li1 Li 0.145 0.145 0.000 1
Li2 Li 0.855 0.855 0.000 1
Ca1 Ca 0.500 0.000 0.500 1
Zn1 Zn 0.141 0.322 0.818 1
Zn2 Zn 0.163 0.500 0.663 1
Zn3 Zn 0.496 0.678 0.818 1
Zn4 Zn 0.504 0.322 0.182 1
Zn5 Zn 0.837 0.500 0.337 1
Zn6 Zn 0.859 0.678 0.182 1
```

Peak list (10 most intense, 2θ = 15–90°, by angle)
d/Å  intensity
3.849  41
3.808  39
3.096  58
2.686  61
2.412  46
2.214  100
2.191  68
2.028  37
1.912  42
1.293  32


# Nd2TeS2
Theoretical powder diffractogram, a wavelength of 1.5418 Å. Input: a structure optimized by DFT (GGA-PBE).
Neutral-atom scattering factors, no anomalous dispersion.

Structural model:
```
data_Nd2TeS2
_cell_length_a 4.658
_cell_length_b 4.658
_cell_length_c 7.771
_cell_angle_alpha 90.00
_cell_angle_beta 90.00
_cell_angle_gamma 120.00
_space_group_name_H-M_alt 'P 1'
_space_group_IT_number 1
_space_group_name_Hall 'P 1'
~~~
• Completed:
# SrPr4Hg4
Theoretical powder diffractogram, a wavelength of 1.5418 Å. Input: a structure optimized by DFT (GGA-PBE).
Neutral-atom scattering factors, no anomalous dispersion.

Structural model:
```
data_SrPr4Hg4
_cell_length_a 10.297
_cell_length_b 10.297
_cell_length_c 6.125
_cell_angle_alpha 90.00
_cell_angle_beta 90.00
_cell_angle_gamma 90.00
_space_group_name_H-M_alt 'P 1'
_space_group_IT_number 1
_space_group_name_Hall 'P 1'
loop_
_atom_site_label
_atom_site_type_symbol
_atom_site_fract_x
_atom_site_fract_y
_atom_site_fract_z
_atom_site_occupancy
Sr1 Sr 0.250 0.250 0.250 1
Sr2 Sr 0.750 0.750 0.750 1
Pr1 Pr 0.097 0.656 0.158 1
Pr2 Pr 0.156 0.903 0.658 1
Pr3 Pr 0.344 0.597 0.658 1
Pr4 Pr 0.403 0.844 0.158 1
Pr5 Pr 0.597 0.156 0.842 1
Pr6 Pr 0.656 0.403 0.342 1
Pr7 Pr 0.844 0.097 0.342 1
Pr8 Pr 0.903 0.344 0.842 1
Hg1 Hg 0.030 0.605 0.659 1
Hg2 Hg 0.105 0.970 0.159 1
Hg3 Hg 0.395 0.530 0.159 1
Hg4 Hg 0.470 0.895 0.659 1
Hg5 Hg 0.530 0.105 0.341 1
Hg6 Hg 0.605 0.470 0.841 1
Hg7 Hg 0.895 0.030 0.841 1
Hg8 Hg 0.970 0.395 0.341 1
```

Peak list (10 most intense, 2θ = 15–90°, by angle)
d/Å  intensity
5.149  30
3.256  100
2.936  49
2.588  49
2.550  23
2.313  33
2.303  24
2.285  39
2.089  31
1.489  17


# Li2CaZn6
Theoretical powder diffractogram, a wavelength of 1.5418 Å. Input: a structure optimized by DFT (GGA-PBE).
Neutral-atom scattering factors, no anomalous dispersion.

Structural model:
```
data_Li2CaZn6
_cell_length_a 7.781
_cell_length_b 7.781
_cell_length_c 7.781
_cell_angle_alpha 156.38
_cell_angle_beta 120.71
_cell_angle_gamma 64.73
_space_group_name_H-M_alt 'P 1'
_space_group_IT_number 1
_space_group_name_Hall 'P 1'
loop_
_atom_site_label
_atom_site_type_symbol
_atom_site_fract_x
_atom_site_fract_y
_atom_site_fract_z
_atom_site_occupancy
Li1 Li 0.145 0.145 0.000 1
Li2 Li 0.855 0.855 0.000 1
Ca1 Ca 0.500 0.000 0.500 1
Zn1 Zn 0.141 0.322 0.818 1
Zn2 Zn 0.163 0.500 0.663 1
Zn3 Zn 0.496 0.678 0.818 1
Zn4 Zn 0.504 0.322 0.182 1
Zn5 Zn 0.837 0.500 0.337 1
Zn6 Zn 0.859 0.678 0.182 1
```

Peak list (10 most intense, 2θ = 15–90°, by angle)
d/Å  intensity
3.849  41
3.808  39
3.096  58
2.686  61
2.412  46
2.214  100
2.191  68
2.028  37
1.912  42
1.293  32


# Nd2TeS2
Theoretical powder diffractogram, a wavelength of 1.5418 Å. Input: a structure optimized by DFT (GGA-PBE).
Neutral-atom scattering factors, no anomalous dispersion.

Structural model:
```
data_Nd2TeS2
_cell_length_a 4.658
_cell_length_b 4.658
_cell_length_c 7.771
_cell_angle_alpha 90.00
_cell_angle_beta 90.00
_cell_angle_gamma 120.00
_space_group_name_H-M_alt 'P 1'
_space_group_IT_number 1
_space_group_name_Hall 'P 1'